Affinity Diagrams
Affinity diagramming (or Affinity mapping) organises large sets of ideas into categories. In UX, the method is used to group research findings or to sort design ideas in ideation workshops.
Misplaced data records
<<<
# AlTlI3
Computed X-ray powder pattern, CuKα. Input: a GGA-PBE-relaxed structure.
Neutral-atom scattering factors, no anomalous dispersion.

Structure:
Lattice parameters (Å, degrees): 7.127 8.812 9.614 114.39 108.28 96.79
Fractional coordinates of all 10 atoms:
1 Al 0.045 0.365 0.000
2 Al 0.955 0.635 0.000
3 Tl 0.325 0.825 0.650
4 Tl 0.675 0.175 0.350
5 I 0.097 0.180 0.730
6 I 0.253 0.847 0.000
7 I 0.365 0.449 0.271
8 I 0.635 0.551 0.729
9 I 0.747 0.153 0.000
10 I 0.903 0.820 0.270

The 6 most intense peaks (15 to 90 degrees two-theta), sorted by position:
hkl	2θ (°)	I/Imax
1 1 -1	17.02	100
1 1 -2	20.33	52
1 -2 0	23.27	91
1 1 -3	28.14	57
-2 1 2	31.01	55
0 3 -3	35.04	62

~~~~~

Entry 1:
# Mg2TaNb2O8
Theoretical powder diffractogram, a wavelength of 1.5418 Å. Input: DFT lattice parameters and positions (PBE).
Intensities are scaled so that the largest is 100.

Main lines, in order of rising 2θ (15° ≤ 2θ ≤ 90°):
- 19.6 deg, rel. 72.8, hkl 0 1 1
- 20.9 deg, rel. 59.8, hkl 0 1 -2
- 25.2 deg, rel. 59.8, hkl -1 1 1
- 26.7 deg, rel. 100.0, hkl 0 1 2
- 27.0 deg, rel. 42.5, hkl 1 1 1
- 27.4 deg, rel. 56.6, hkl 1 -1 2
- 28.2 deg, rel. 45.2, hkl 0 1 -3
- 30.7 deg, rel. 52.1, hkl -1 1 2
- 33.8 deg, rel. 42.6, hkl 1 -1 3
- 34.3 deg, rel. 59.3, hkl 1 -2 1
- 34.4 deg, rel. 65.7, hkl 2 0 0
- 35.0 deg, rel. 61.5, hkl 1 2 -1

```
data_Mg2TaNb2O8
_chemical_formula_sum 'Mg4 Ta2 Nb4 O16'
_cell_length_a 5.2315
_cell_length_b 5.9821
_cell_length_c 9.9933
_cell_angle_alpha 103.77
_cell_angle_beta 93.57
_cell_angle_gamma 91.65
_space_group_name_H-M_alt 'P -1'
_space_group_IT_number 2
loop_
_space_group_symop_operation_xyz
'x,y,z'
'-x,-y,-z'
loop_
_atom_site_label
_atom_site_type_symbol
_atom_site_fract_x
_atom_site_fract_y
_atom_site_fract_z
Mg1 Mg 0.2321 0.0804 0.4462
Mg2 Mg 0.2537 0.6395 0.5384
Ta1 Ta 0.2450 0.8457 0.0077
Nb1 Nb 0.2810 0.2542 0.7524
Nb2 Nb 0.2830 0.4918 0.2315
O1 O 0.0650 0.7050 0.1363
O2 O 0.0658 0.4205 0.6321
O3 O 0.0949 0.1726 0.1020
O4 O 0.1363 0.9552 0.6157
O5 O 0.3777 0.3440 0.3815
O6 O 0.3907 0.5885 0.8861
O7 O 0.4111 0.0509 0.8865
O8 O 0.4280 0.7963 0.3800
```



Entry 2:
# Ce2YWN5
Theoretical powder diffractogram, a wavelength of 1.5418 Å. Input: DFT lattice parameters and positions (PBE).
Intensities are scaled so that the largest is 100.

Main lines, in order of rising 2θ (15° ≤ 2θ ≤ 90°):
- 18.9 deg, rel. 26.0, hkl 1 1 0
- 30.0 deg, rel. 17.4, hkl 2 1 0
- 30.5 deg, rel. 40.9, hkl 0 0 2
- 30.9 deg, rel. 100.0, hkl 2 0 1
- 33.8 deg, rel. 42.8, hkl 2 1 1
- 38.3 deg, rel. 23.3, hkl 2 2 0
- 43.4 deg, rel. 28.7, hkl 2 1 2
- 45.8 deg, rel. 23.0, hkl 3 1 1
- 49.7 deg, rel. 20.9, hkl 2 2 2
- 54.5 deg, rel. 21.0, hkl 2 0 3
- 57.6 deg, rel. 14.9, hkl 4 0 1
- 71.1 deg, rel. 12.6, hkl 4 2 2

```
data_Ce2YWN5
_chemical_formula_sum 'Ce4 Y2 W2 N10'
_cell_length_a 6.6499
_cell_length_b 6.6499
_cell_length_c 5.8599
_cell_angle_alpha 90.00
_cell_angle_beta 90.00
_cell_angle_gamma 90.00
_space_group_name_H-M_alt 'P 4/m b m'
_space_group_IT_number 127
>>>
What you'll need
- Pens
- Sticky notes (post-its)
- Whiteboard / large post-it paper
Running a UX workshop can have multiple benefits. Getting stakeholders on-board and feeling involved & responsible for ideas, building common ground across people and teams, and bringing together many types of diverse backgrounds and expertise.
Within a UX workshop, it’s hard to engage the entire group with so many different ideas and levels of management at the table. It’s your job as a workshop facilitator to ensure everyone is heard, and to organise these thoughts and ideas.
Affinity diagramming (sometimes known as affinity mapping) is the process of organising results and ideas into clusters.
How to produce an affinity diagram or map
Write down each idea/result on to a single post-it.
There are two types of data you that work well with affinity diagrams. Research results and design ideas. For research findings, I encourage the facilitator and observers to write the post-its. For idea generation workshops, I always encourage the participants to write these, as it generates a feeling of participation from everyone and levels the playing field if you have different levels of management in the room. You, as the workshop facilitator, could do this, but I’ve found it can create a disconnect between the group and the ideas.
(Materials data that have nothing to do with the text)
(1)
# TaCl6
Computed powder X-ray diffraction pattern, Cu Kα. Input: DFT lattice parameters and positions (GGA-PBE).
Intensities are scaled so that the largest is 100.

Principal peaks in the range 15 to 90 degrees two-theta, sorted by position:
2θ (°), intensity
15.0, 52.3
15.3, 100.0
18.3, 38.3
20.2, 38.1
27.9, 17.2
30.2, 16.8

Crystal structure
```
TaCl6
1.0
10.614 0.000 0.000
0.000 11.791 0.000
0.000 0.000 8.496
Ta Cl
4 24
direct
0.133 0.250 0.051
0.367 0.750 0.551
0.633 0.250 0.449
0.867 0.750 0.949
0.014 0.750 0.145
0.015 0.112 0.203
0.015 0.388 0.203
0.242 0.606 0.454
0.242 0.894 0.454
0.243 0.750 0.799
0.257 0.250 0.299
0.258 0.106 0.954
0.258 0.394 0.954
0.485 0.612 0.703
0.485 0.888 0.703
0.486 0.250 0.645
0.514 0.750 0.355
0.515 0.112 0.297
0.515 0.388 0.297
0.742 0.606 0.046
0.742 0.894 0.046
0.743 0.750 0.701
0.757 0.250 0.201
0.758 0.106 0.546
0.758 0.394 0.546
0.985 0.612 0.797
0.985 0.888 0.797
0.986 0.250 0.855
```



(2)
# SrBr2O7
Computed powder X-ray diffraction pattern, Cu Kα. Input: DFT lattice parameters and positions (GGA-PBE).
Intensities are scaled so that the largest is 100.

Principal peaks in the range 15 to 90 degrees two-theta, sorted by position:
2θ (°), intensity
15.2, 72.0
27.0, 60.0
29.1, 85.5
29.5, 58.5
30.3, 93.2
30.8, 100.0

Crystal structure
```
SrBr2O7
1.0
6.107 -4.010 0.000
6.107 4.010 0.000
-5.306 0.000 6.600
Sr Br O
2 4 14
direct
0.159 0.841 0.750
0.841 0.159 0.250
0.289 0.325 0.300
0.325 0.289 0.800
0.675 0.711 0.200
0.711 0.675 0.700
0.094 0.180 0.632
0.169 0.831 0.250
0.180 0.094 0.132
0.208 0.408 0.485
0.240 0.560 0.898
0.408 0.208 0.985
0.440 0.760 0.602
0.560 0.240 0.398
0.592 0.792 0.015
0.760 0.440 0.102
0.792 0.592 0.515
0.820 0.906 0.868
0.831 0.169 0.750
0.906 0.820 0.368
```



(3)
# Re4Ir3
Computed powder X-ray diffraction pattern, Cu Kα. Input: DFT lattice parameters and positions (GGA-PBE).
Intensities are scaled so that the largest is 100.

Principal peaks in the range 15 to 90 degrees two-theta, sorted by position:
2θ (°), intensity
38.5, 66.3
42.6, 100.0
55.6, 23.2
72.5, 42.3
80.8, 15.9
82.6, 7.6

Crystal structure
```
Re4Ir3
1.0
-1.653 1.653 9.678
1.653 -1.653 9.678
1.653 1.653 -9.678
Re Ir
4 3
direct
0.070 0.070 0.000
0.356 0.356 0.000
0.644 0.644 0.000
0.930 0.930 0.000
0.215 0.215 0.000
0.500 0.500 0.000
0.785 0.785 0.000
```



(4)
# Nb6Co16Si7
Computed powder X-ray diffraction pattern, Cu Kα. Input: DFT lattice parameters and positions (GGA-PBE).
Intensities are scaled so that the largest is 100.

Principal peaks in the range 15 to 90 degrees two-theta, sorted by position:
2θ (°), intensity
27.6, 21.6
39.4, 24.9
41.9, 100.0
45.9, 91.3
71.5, 20.0
86.5, 18.6

Crystal structure
```
Nb6Co16Si7
1.0
0.000 5.596 5.596
5.596 0.000 5.596
5.596 5.596 0.000
Nb Co Si
6 16 7
direct
0.203 0.203 0.797
0.203 0.797 0.203
0.203 0.797 0.797
0.797 0.203 0.203
0.797 0.203 0.797
0.797 0.797 0.203
0.144 0.619 0.619
0.166 0.166 0.166
0.166 0.166 0.501
0.166 0.501 0.166
0.381 0.381 0.381
Organise the post-it’s into groups
The participants then have a separate session to group and prioritise the post-its (this could be within the same workshop, or a different one depending on time). For this, you’ll generally need a large room with either a large whiteboard, or large post-it sheets.
[Records of crystals, kept here for reference]
/*
No. 1
Theoretical powder diffractogram
Compound: DyAlPd
Radiation: a wavelength of 1.5418 Å
Structure: a crystal structure in the Materials Project, relaxed with PBE

Top 10 peaks for 2θ from 10° to 90°, in order of rising 2θ:
- hkl 1 1 1, 2θ 26.38, I 26
- hkl 1 1 2, 2θ 33.12, I 60
- hkl 2 1 1, 2θ 34.83, I 100
- hkl 1 0 3, 2θ 36.87, I 23
- hkl 0 1 3, 2θ 40.06, I 16
- hkl 0 2 0, 2θ 40.43, I 34
- hkl 1 1 3, 2θ 42.24, I 17
- hkl 3 0 2, 2θ 45.80, I 18
- hkl 3 2 2, 2θ 62.71, I 14
- hkl 2 3 1, 2θ 69.93, I 15

Cell and atoms:
abc: 6.895 4.462 7.819
angles: 90.00 90.00 90.00
Space group Pnma (No. 62)
Symmetry-distinct sites (fractional):
Dy 0.034 0.250 0.179
Al 0.143 0.250 0.560
Pd 0.228 0.750 0.379


No. 2
Theoretical powder diffractogram
Compound: PmDyAl2
Radiation: a wavelength of 1.5418 Å
Structure: a crystal structure in the Materials Project, relaxed with PBE

Top 10 peaks for 2θ from 10° to 90°, in order of rising 2θ:
- hkl 2 0 0, 2θ 24.43, I 60
- hkl 2 2 0, 2θ 34.82, I 100
- hkl 2 2 2, 2θ 42.99, I 18
- hkl 4 0 0, 2θ 50.06, I 18
- hkl 4 2 0, 2θ 56.46, I 25
- hkl 4 2 2, 2θ 62.42, I 37
- hkl 4 4 0, 2θ 73.50, I 11
- hkl 6 0 0, 2θ 78.79, I 12
- hkl 6 2 0, 2θ 83.98, I 16
- hkl 6 2 2, 2θ 89.12, I 7

Cell and atoms:
abc: 7.288 7.288 7.288
angles: 90.00 90.00 90.00
Space group Fm-3m (No. 225)
Symmetry-distinct sites (fractional):
Pm 0.000 0.000 0.000
Dy 0.000 0.000 0.500
Al 0.250 0.250 0.250


Entry 1:
Diffraction record for Sm2Si3Ir. The powder XRD pattern is theoretical, not measured: it uses a PBE-relaxed structure and Cu Kα, 1.54184 Å.
No peak broadening, texture or thermal motion is included.

Top 12 peaks for 2θ from 15° to 90°, by angle:
(hkl), 2theta, I/Imax
1 1 1, 16.37, 12
1 1 3, 24.17, 19
2 0 2, 25.03, 14
0 2 4, 33.10, 100
0 4 0, 43.41, 14
4 0 0, 44.01, 15
2 0 6, 44.13, 26
4 2 4, 56.18, 15
0 2 8, 56.30, 7
4 4 0, 63.59, 26
0 6 4, 73.11, 10
2 2 10, 74.14, 13

Crystal structure
Lattice parameters (Å, degrees): 8.2290 8.3382 14.2082 90.00 90.00 90.00
Space group Fmmm (No. 69)
Asymmetric unit:
Sm  0.0000  0.2485  0.0000 x8
Sm  0.2500  0.2500  0.2500 x8
Si  0.0000  0.0000  0.3329 x8
Si  0.2501  0.0000  0.0838 x16
Ir  0.0000  0.0000  0.1663 x8


Entry 2:
Diffraction record for Sm2Si3Ir3. The powder XRD pattern is theoretical, not measured: it uses a PBE-relaxed structure and Cu Kα, 1.54184 Å.
No peak broadening, texture or thermal motion is included.

Top 12 peaks for 2θ from 15° to 90°, by angle:
(hkl), 2theta, I/Imax
0 0 5, 21.91, 22
1 0 0, 31.63, 100
1 0 3, 34.36, 21
0 0 8, 35.40, 28
1 0 5, 38.81, 21
1 1 0, 45.33, 37
1 0 8, 48.19, 48
1 1 8, 58.79, 26
2 0 0, 66.05, 12
2 1 0, 75.08, 17
2 0 8, 77.23, 12
2 1 8, 85.84, 19

Crystal structure
Lattice parameters (Å, degrees): 2.8290 2.8290 20.2873 90.00 90.00 90.00
Space group P4/mmm (No. 123)
Asymmetric unit:
Sm  0.0000  0.0000  0.2439 x2
Si  0.0000  0.0000  0.0000 x1
Si  0.0000  0.0000  0.3864 x2
Ir  0.0000  0.0000  0.1105 x2
Ir  0.0000  0.0000  0.5000 x1


Entry 3:
*/
You might consider adding a couple of categories prior to the workshop session to get people started. Remember to include a ‘don’t know’ category for anything that doesn’t fit initially. This may produce additional categories as the workshop goes on. As new categories are generated, tell the group that it has been created.
Where post-its are generally the same, ask participants to stick them on top of each other.
Once your post-its are all categorised, or whilst you’re carrying out the exercise, encourage the participants to look for sub-categories, and stick these sub-category post-it’s closer together. Participants may be asked to do this per category on their own, or in pairs if there are a large amount of post-its in a category.
What next
Once you have your sub-category groupings, you need to do something with this data otherwise these exercises are pointless. The next steps depends on you kind of data, but all of them require the data to be ranked by your participants.
Research results
If you have research results you could use dot-voting or severity gauging.
Idea generation
If you have a lot of ideas, two common methods are the $100 test and the NUF test. If you have more time, you could also use an impact/effort matrix
If you want to up your UX game, take the Product Design (UX/UI) Master Course over at DesignerUp